w | CaH16O10: optimized geometry, PBE.

Its crystal system is triclinic. The value obtained for the volume is 460.1 Å³/cell.

Unit cell a=6.1725 b=6.3192 c=11.8222 alpha=87.59 beta=89.83 gamma=87.11
Last column: nearest neighbours and their distance in Å.
Positions (direct):
Ca 0.0000 0.0000 0.0000  8 O 2.39-2.61
Ca 0.0049 0.0289 0.5409  7 O 2.41-2.52
H 0.0565 0.6777 0.8370  1 O 0.98
H 0.0572 0.3089 0.3445  1 O 0.97
H 0.0758 0.6712 0.1882  1 O 0.98
H 0.1841 0.2847 0.7203  1 O 0.99
H 0.2675 0.9206 0.3489  1 O 0.98
H 0.2757 0.6063 0.1026  1 O 1.03
H 0.2774 0.8151 0.7252  1 O 1.00
H 0.2804 0.3954 0.6072  1 O 1.04
H 0.2832 0.3627 0.4070  1 O 1.01
H 0.2981 0.6271 0.8982  1 O 1.05
H 0.3448 0.6903 0.4135  1 O 1.05
H 0.3614 0.2676 0.1087  1 O 1.02
H 0.3612 0.2979 0.9047  1 O 1.06
H 0.3640 0.0815 0.8323  1 O 0.97
H 0.3798 0.7293 0.6106  1 O 1.02
H 0.3838 0.0212 0.1341  1 O 0.98
H 0.5506 0.0324 0.6380  1 O 1.00
H 0.6104 0.6974 0.0936  1 O 1.02
H 0.6114 0.2728 0.6182  1 O 1.01
H 0.6183 0.8442 0.9058  1 O 0.97
H 0.6274 0.2710 0.4103  1 O 1.00
H 0.6715 0.0307 0.3661  1 O 0.98
H 0.6966 0.3856 0.9073  1 O 1.02
H 0.7102 0.3347 0.1111  1 O 1.01
H 0.7126 0.8563 0.1777  1 O 0.98
H 0.7177 0.9932 0.8096  1 O 0.98
H 0.7187 0.6250 0.3845  1 O 1.00
H 0.7244 0.6325 0.5975  1 O 1.00
H 0.9337 0.3656 0.8460  1 O 0.97
H 0.9567 0.3159 0.1512  1 O 0.97
H 0.9566 0.7209 0.3713  1 O 1.00
H 0.9690 0.5638 0.6225  1 O 0.99
O 0.1332 0.6960 0.1120  2 H 0.98-1.03
O 0.1423 0.3287 0.6417  2 H 0.99-1.04
O 0.1682 0.2555 0.3981  2 H 0.97-1.01
O 0.1898 0.7419 0.8589  2 H 0.98-1.05
O 0.2208 0.8097 0.4026  2 H 0.98-1.05
O 0.2657 0.1872 0.8648  2 H 0.97-1.06
O 0.2736 0.1387 0.1274  2 H 0.98-1.02
O 0.3169 0.8632 0.6463  2 H 1.00-1.02
O 0.4730 0.4808 0.9457  3 H 1.48-1.55, 1 O 1.49
O 0.4865 0.4781 0.0718  1 O 1.49, 4 H 1.55-1.67
O 0.4891 0.5032 0.5681  1 O 1.50, 2 H 1.55-1.65
O 0.4907 0.5004 0.4414  2 H 1.49-1.65, 1 O 1.50
O 0.6599 0.8475 0.0996  2 H 0.98-1.02
O 0.6715 0.1289 0.6475  2 H 1.00-1.01
O 0.7368 0.1497 0.4017  2 H 0.98-1.00
O 0.7459 0.8650 0.8586  2 H 0.97-0.98
O 0.8125 0.7131 0.3345  2 H 1.00
O 0.8293 0.2883 0.8900  2 H 0.97-1.02
O 0.8336 0.2322 0.1352  2 H 0.97-1.01
O 0.8711 0.6909 0.6075  2 H 0.99-1.00

x | CaH16O10: optimized geometry, PBE.

Its crystal system is monoclinic. The value obtained for the volume is 427.5 Å³/cell.

Unit cell a=6.1420 b=6.1358 c=11.3468 alpha=90.00 beta=91.19 gamma=90.00
Last column: nearest neighbours and their distance in Å.
Positions (direct):
Ca 0.0000 0.0069 0.0000  8 O 2.46-2.55
Ca 0.0000 0.9931 0.5000  8 O 2.46-2.55
H 0.0239 0.4418 0.8868  1 O 0.99
H 0.0239 0.5582 0.3868  1 O 0.99
H 0.0257 0.4417 0.1167  1 O 1.00
H 0.0257 0.5583 0.6167  1 O 1.00
H 0.2666 0.3715 0.8896  1 O 1.00
H 0.2666 0.6285 0.3896  1 O 1.00
H 0.2686 0.3739 0.1076  1 O 1.01
H 0.2686 0.6261 0.6076  1 O 1.01
H 0.2876 0.0810 0.2922  1 O 0.99
H 0.2876 0.9190 0.7922  1 O 0.99
H 0.3639 0.2737 0.6097  1 O 1.01
H 0.3639 0.7263 0.1097  1 O 1.01
H 0.3708 0.2644 0.3891  1 O 1.02
H 0.3708 0.7356 0.8891  1 O 1.02
H 0.4335 0.0313 0.6125  1 O 0.99
H 0.4335 0.9687 0.1125  1 O 0.99
H 0.5555 0.0328 0.8847  1 O 1.00
H 0.5555 0.9672 0.3847  1 O 1.00
H 0.6137 0.2698 0.1096  1 O 1.03
H 0.6137 0.7302 0.6096  1 O 1.03
H 0.6200 0.2774 0.8915  1 O 1.02
H 0.6200 0.7226 0.3915  1 O 1.02
H 0.6879 0.0765 0.2066  1 O 0.98
H 0.6879 0.9235 0.7066  1 O 0.98
H 0.7244 0.3802 0.3902  1 O 1.03
H 0.7244 0.6198 0.8902  1 O 1.03
H 0.7264 0.3778 0.6104  1 O 1.03
H 0.7264 0.6222 0.1104  1 O 1.03
H 0.9144 0.2939 0.7066  1 O 0.99
H 0.9139 0.3053 0.2937  1 O 0.98
H 0.9139 0.6947 0.7937  1 O 0.98
H 0.9144 0.7061 0.2066  1 O 0.99
O 0.1165 0.3119 0.8735  2 H 0.99-1.00
O 0.1165 0.6881 0.3735  2 H 0.99-1.00
O 0.1223 0.3120 0.1290  2 H 1.00-1.01
O 0.1223 0.6880 0.6290  2 H 1.00-1.01
O 0.3040 0.1241 0.6256  2 H 0.99-1.01
O 0.3040 0.8759 0.1256  2 H 0.99-1.01
O 0.3133 0.1105 0.3767  2 H 0.99-1.02
O 0.3133 0.8895 0.8767  2 H 0.99-1.02
O 0.5042 0.4933 0.4334  1 O 1.51, 2 H 1.61-1.65

Say how many lines of the rows above hold the word "The", as a bare number.

2